Material:
=====
This record from the Alexandria database describes a PBEsol-optimized structure of NiSbTe2Rh. The functional is meta-GGA SCAN.

It has space group P4/mmm (No. 123), with a = 5.175 Å, b = 5.175 Å, c = 4.883 Å, α = 90.00°, β = 90.00° and γ = 90.00°. The asymmetric unit holds Ni at (0.000, 0.000, 0.000), Sb at (0.500, 0.500, 0.000), Te at (0.000, 0.500, 0.500) and Rh at (0.500, 0.500, 0.500).

The formation energy (no corrections) comes out at 0.80 eV/atom. As for the electronic total energy: -31.545 eV per atom. Its crystal system is tetragonal. The calculation puts the density of states at the Fermi level at 5.17 states/eV/cell.



This record from the Alexandria database describes a PBEsol-optimized structure of TiNiSb2Rh. The functional is meta-GGA SCAN.

It has space group P4/mmm (No. 123), with a = 5.049 Å, b = 5.049 Å, c = 4.200 Å, α = 90.00°, β = 90.00° and γ = 90.00°. The asymmetric unit holds Ti at (0.000, 0.000, 0.000), Ni at (0.000, 0.000, 0.500), Sb at (0.000, 0.500, 0.000) and Rh at (0.500, 0.500, 0.500).

The formation energy (no corrections) comes out at 0.93 eV/atom. As for the electronic total energy: -27.165 eV per atom. Its crystal system is tetragonal. The calculation puts the density of states at the Fermi level at 4.22 states/eV/cell.



This record from the Alexandria database describes a PBEsol-optimized structure of ScNi2Rh. The functional is meta-GGA SCAN.

It has space group P4mm (No. 99), with a = 3.087 Å, b = 3.087 Å, c = 5.600 Å, α = 90.00°, β = 90.00° and γ = 90.00°. The asymmetric unit holds Sc at (0.000, 0.000, 0.000), Ni at (0.000, 0.000, 0.469), Ni at (0.500, 0.500, 0.276) and Rh at (0.500, 0.500, 0.721).

As for the electronic total energy: -20.435 eV per atom. The calculation puts the energy relative to the elements at -0.3462 eV/atom. Its crystal system is tetragonal. The calculation puts the density of states at the Fermi level at 2.70 states/eV/cell.



This record from the Alexandria database describes a PBEsol-optimized structure of ScNiRh2. The functional is meta-GGA SCAN.

It has space group R3m (No. 160, hexagonal axes), with a = 2.7662 Å, b = 2.7662 Å, c = 25.5864 Å, α = 90.00°, β = 90.00° and γ = 120.00°. The asymmetric unit holds Sc at (0.0000, 0.0000, 0.0000), Ni at (0.0000, 0.0000, 0.2511), Rh at (0.0000, 0.0000, 0.5056) and Rh at (0.0000, 0.0000, 0.7539).

As for the electronic total energy: -24.442 eV per atom. The calculation puts the energy relative to the elements at 0.0467 eV/atom. Its crystal system is trigonal. The calculation puts the density of states at the Fermi level at 16.64 states/eV/cell.



This record from the Alexandria database describes a PBEsol-optimized structure of ScNiRh2. The functional is meta-GGA SCAN.

It has space group Pmm2 (No. 25), with a = 2.793 Å, b = 3.721 Å, c = 5.397 Å, α = 90.00°, β = 90.00° and γ = 90.00°. The asymmetric unit holds Sc at (0.000, 0.000, 0.000), Ni at (0.500, 0.500, 0.264), Rh at (0.000, 0.000, 0.485) and Rh at (0.500, 0.500, 0.730).

As for the electronic total energy: -24.862 eV per atom. The calculation puts the energy relative to the elements at -0.3736 eV/atom. Its crystal system is orthorhombic. The calculation puts the density of states at the Fermi level at 4.24 states/eV/cell.



This record from the Alexandria database describes a PBEsol-optimized structure of Sc2NiRh. The functional is meta-GGA SCAN.

It has space group Fm-3m (No. 225), with a = 6.321 Å, b = 6.321 Å, c = 6.321 Å, α = 90.00°, β = 90.00° and γ = 90.00°. The asymmetric unit holds Sc at (0.250, 0.250, 0.250), Ni at (0.000, 0.000, 0.000) and Rh at (0.000, 0.000, 0.500).
=====

Exercise:
It remains to type out everything earlier on unchanged.

Response:
This record from the Alexandria database describes a PBEsol-optimized structure of NiSbTe2Rh. The functional is meta-GGA SCAN.

It has space group P4/mmm (No. 123), with a = 5.175 Å, b = 5.175 Å, c = 4.883 Å, α = 90.00°, β = 90.00° and γ = 90.00°. The asymmetric unit holds Ni at (0.000, 0.000, 0.000), Sb at (0.500, 0.500, 0.000), Te at (0.000, 0.500, 0.500) and Rh at (0.500, 0.500, 0.500).

The formation energy (no corrections) comes out at 0.80 eV/atom. As for the electronic total energy: -31.545 eV per atom. Its crystal system is tetragonal. The calculation puts the density of states at the Fermi level at 5.17 states/eV/cell.



This record from the Alexandria database describes a PBEsol-optimized structure of TiNiSb2Rh. The functional is meta-GGA SCAN.

It has space group P4/mmm (No. 123), with a = 5.049 Å, b = 5.049 Å, c = 4.200 Å, α = 90.00°, β = 90.00° and γ = 90.00°. The asymmetric unit holds Ti at (0.000, 0.000, 0.000), Ni at (0.000, 0.000, 0.500), Sb at (0.000, 0.500, 0.000) and Rh at (0.500, 0.500, 0.500).

The formation energy (no corrections) comes out at 0.93 eV/atom. As for the electronic total energy: -27.165 eV per atom. Its crystal system is tetragonal. The calculation puts the density of states at the Fermi level at 4.22 states/eV/cell.



This record from the Alexandria database describes a PBEsol-optimized structure of ScNi2Rh. The functional is meta-GGA SCAN.

It has space group P4mm (No. 99), with a = 3.087 Å, b = 3.087 Å, c = 5.600 Å, α = 90.00°, β = 90.00° and γ = 90.00°. The asymmetric unit holds Sc at (0.000, 0.000, 0.000), Ni at (0.000, 0.000, 0.469), Ni at (0.500, 0.500, 0.276) and Rh at (0.500, 0.500, 0.721).

As for the electronic total energy: -20.435 eV per atom. The calculation puts the energy relative to the elements at -0.3462 eV/atom. Its crystal system is tetragonal. The calculation puts the density of states at the Fermi level at 2.70 states/eV/cell.



This record from the Alexandria database describes a PBEsol-optimized structure of ScNiRh2. The functional is meta-GGA SCAN.

It has space group R3m (No. 160, hexagonal axes), with a = 2.7662 Å, b = 2.7662 Å, c = 25.5864 Å, α = 90.00°, β = 90.00° and γ = 120.00°. The asymmetric unit holds Sc at (0.0000, 0.0000, 0.0000), Ni at (0.0000, 0.0000, 0.2511), Rh at (0.0000, 0.0000, 0.5056) and Rh at (0.0000, 0.0000, 0.7539).

As for the electronic total energy: -24.442 eV per atom. The calculation puts the energy relative to the elements at 0.0467 eV/atom. Its crystal system is trigonal. The calculation puts the density of states at the Fermi level at 16.64 states/eV/cell.



This record from the Alexandria database describes a PBEsol-optimized structure of ScNiRh2. The functional is meta-GGA SCAN.

It has space group Pmm2 (No. 25), with a = 2.793 Å, b = 3.721 Å, c = 5.397 Å, α = 90.00°, β = 90.00° and γ = 90.00°. The asymmetric unit holds Sc at (0.000, 0.000, 0.000), Ni at (0.500, 0.500, 0.264), Rh at (0.000, 0.000, 0.485) and Rh at (0.500, 0.500, 0.730).

As for the electronic total energy: -24.862 eV per atom. The calculation puts the energy relative to the elements at -0.3736 eV/atom. Its crystal system is orthorhombic. The calculation puts the density of states at the Fermi level at 4.24 states/eV/cell.



This record from the Alexandria database describes a PBEsol-optimized structure of Sc2NiRh. The functional is meta-GGA SCAN.

It has space group Fm-3m (No. 225), with a = 6.321 Å, b = 6.321 Å, c = 6.321 Å, α = 90.00°, β = 90.00° and γ = 90.00°. The asymmetric unit holds Sc at (0.250, 0.250, 0.250), Ni at (0.000, 0.000, 0.000) and Rh at (0.000, 0.000, 0.500).